Material:
~~~
# Sr2Ga2O5, optimized geometry, DFT PBE
data_Sr2Ga2O5
_chemical_formula_sum 'Sr16 Ga16 O40'
_cell_length_a 9.729
_cell_length_b 10.115
_cell_length_c 10.812
_cell_angle_alpha 90.00
_cell_angle_beta 90.00
_cell_angle_gamma 90.00
_space_group_name_H-M_alt 'P 1'
_space_group_IT_number 1
_space_group_name_Hall 'P 1'
loop_
_atom_site_label
_atom_site_type_symbol
_atom_site_fract_x
_atom_site_fract_y
_atom_site_fract_z
Sr1 Sr 0.996 0.497 0.255
Sr2 Sr 0.504 0.997 0.745
Sr3 Sr 0.496 0.503 0.245
Sr4 Sr 0.004 0.003 0.755
Sr5 Sr 0.004 0.503 0.745
Sr6 Sr 0.496 0.003 0.255
Sr7 Sr 0.504 0.497 0.755
Sr8 Sr 0.996 0.997 0.245
Sr9 Sr 0.751 0.254 0.274
Sr10 Sr 0.749 0.754 0.726
Sr11 Sr 0.251 0.746 0.226
Sr12 Sr 0.249 0.246 0.774
Sr13 Sr 0.249 0.746 0.726
Sr14 Sr 0.251 0.246 0.274
Sr15 Sr 0.749 0.254 0.774
Sr16 Sr 0.751 0.754 0.226
Ga1 Ga 0.733 0.533 0.494
Ga2 Ga 0.767 0.033 0.506
Ga3 Ga 0.233 0.467 0.006
Ga4 Ga 0.267 0.967 0.994
Ga5 Ga 0.267 0.467 0.506
Ga6 Ga 0.233 0.967 0.494
Ga7 Ga 0.767 0.533 0.994
Ga8 Ga 0.733 0.033 0.006
Ga9 Ga 0.961 0.766 0.469
Ga10 Ga 0.539 0.266 0.531
Ga11 Ga 0.461 0.234 0.031
Ga12 Ga 0.039 0.734 0.969
Ga13 Ga 0.039 0.234 0.531
Ga14 Ga 0.461 0.734 0.469
Ga15 Ga 0.539 0.766 0.969
Ga16 Ga 0.961 0.266 0.031
O1 O 0.009 0.737 0.306
O2 O 0.491 0.237 0.694
O3 O 0.509 0.263 0.194
O4 O 0.991 0.763 0.806
O5 O 0.991 0.263 0.694
O6 O 0.509 0.763 0.306
O7 O 0.491 0.737 0.806
O8 O 0.009 0.237 0.194
O9 O 0.892 0.619 0.559
O10 O 0.608 0.119 0.441
O11 O 0.392 0.381 0.941
O12 O 0.108 0.881 0.059
O13 O 0.108 0.381 0.441
O14 O 0.392 0.881 0.559
O15 O 0.608 0.619 0.059
O16 O 0.892 0.119 0.941
O17 O 0.744 0.513 0.324
O18 O 0.756 0.013 0.676
O19 O 0.244 0.487 0.176
O20 O 0.256 0.987 0.824
O21 O 0.256 0.487 0.676
O22 O 0.244 0.987 0.324
O23 O 0.756 0.513 0.824
O24 O 0.744 0.013 0.176
O25 O 0.589 0.638 0.563
O26 O 0.911 0.138 0.437
O27 O 0.089 0.362 0.937
O28 O 0.411 0.862 0.063
O29 O 0.411 0.362 0.437
O30 O 0.089 0.862 0.563
O31 O 0.911 0.638 0.063
O32 O 0.589 0.138 0.937
O33 O 0.699 0.369 0.565
O34 O 0.801 0.869 0.435
O35 O 0.199 0.631 0.935
O36 O 0.301 0.131 0.065
O37 O 0.301 0.631 0.435
O38 O 0.199 0.131 0.565
O39 O 0.801 0.369 0.065
O40 O 0.699 0.869 0.935
# - DFT formation energy: -2.75 eV per atom
# - Theoretical density: 4927 kg/m³
# - Total moment: 0.00 μB per formula unit
# - Crystal system: orthorhombic


a.
{
  "formula": "TlF",
  "functional": "PBE",
  "state": "relaxed",
  "lattice": [[6.386, 0.000, 0.000], [0.000, 5.817, 0.000], [0.000, 0.000, 5.237]],
  "species": ["Tl", "Tl", "Tl", "Tl", "F", "F", "F", "F"],
  "fractional_positions": [[0.242, 0.002, 0.250], [0.242, 0.498, 0.750], [0.758, 0.502, 0.250], [0.758, 0.998, 0.750], [0.143, 0.576, 0.250], [0.143, 0.924, 0.750], [0.857, 0.076, 0.250], [0.857, 0.424, 0.750]],
  "crystal_system": "orthorhombic"
}


b.
{
  "formula": "TlF",
  "functional": "PBE",
  "state": "relaxed",
  "lattice": [[3.843, 0.000, 0.000], [0.000, 3.843, 0.000], [0.000, 0.000, 6.317]],
  "species": ["Tl", "Tl", "F", "F"],
  "fractional_positions": [[0.250, 0.250, 0.247], [0.750, 0.750, 0.753], [0.250, 0.250, 0.853], [0.750, 0.750, 0.147]],
  "crystal_system": "tetragonal"
}


c.
{
  "formula": "TlF",
  "functional": "PBE",
  "state": "relaxed",
  "lattice": [[0.000, 2.841, 2.841], [2.841, 0.000, 2.841], [2.841, 2.841, 0.000]],
  "species": ["Tl", "F"],
  "fractional_positions": [[0.000, 0.000, 0.000], [0.500, 0.500, 0.500]],
  "crystal_system": "cubic"
}


Most stable: a


a.
{
  "formula": "Fe",
  "functional": "PBE",
  "state": "relaxed",
  "lattice": [[0.000, 1.823, 1.823], [1.823, 0.000, 1.823], [1.823, 1.823, 0.000]],
  "species": ["Fe"],
  "fractional_positions": [[0.000, 0.000, 0.000]],
  "crystal_system": "cubic"
}


b.
{
  "formula": "Fe",
  "functional": "PBE",
  "state": "relaxed",
  "lattice": [[10.406, 0.000, 0.000], [-0.217, 10.454, 0.000], [-0.091, -0.379, 10.702]],
~~~

Brief:
Now transcribe all of the entries earlier on exactly.

Here it is:
# Sr2Ga2O5, optimized geometry, DFT PBE
data_Sr2Ga2O5
_chemical_formula_sum 'Sr16 Ga16 O40'
_cell_length_a 9.729
_cell_length_b 10.115
_cell_length_c 10.812
_cell_angle_alpha 90.00
_cell_angle_beta 90.00
_cell_angle_gamma 90.00
_space_group_name_H-M_alt 'P 1'
_space_group_IT_number 1
_space_group_name_Hall 'P 1'
loop_
_atom_site_label
_atom_site_type_symbol
_atom_site_fract_x
_atom_site_fract_y
_atom_site_fract_z
Sr1 Sr 0.996 0.497 0.255
Sr2 Sr 0.504 0.997 0.745
Sr3 Sr 0.496 0.503 0.245
Sr4 Sr 0.004 0.003 0.755
Sr5 Sr 0.004 0.503 0.745
Sr6 Sr 0.496 0.003 0.255
Sr7 Sr 0.504 0.497 0.755
Sr8 Sr 0.996 0.997 0.245
Sr9 Sr 0.751 0.254 0.274
Sr10 Sr 0.749 0.754 0.726
Sr11 Sr 0.251 0.746 0.226
Sr12 Sr 0.249 0.246 0.774
Sr13 Sr 0.249 0.746 0.726
Sr14 Sr 0.251 0.246 0.274
Sr15 Sr 0.749 0.254 0.774
Sr16 Sr 0.751 0.754 0.226
Ga1 Ga 0.733 0.533 0.494
Ga2 Ga 0.767 0.033 0.506
Ga3 Ga 0.233 0.467 0.006
Ga4 Ga 0.267 0.967 0.994
Ga5 Ga 0.267 0.467 0.506
Ga6 Ga 0.233 0.967 0.494
Ga7 Ga 0.767 0.533 0.994
Ga8 Ga 0.733 0.033 0.006
Ga9 Ga 0.961 0.766 0.469
Ga10 Ga 0.539 0.266 0.531
Ga11 Ga 0.461 0.234 0.031
Ga12 Ga 0.039 0.734 0.969
Ga13 Ga 0.039 0.234 0.531
Ga14 Ga 0.461 0.734 0.469
Ga15 Ga 0.539 0.766 0.969
Ga16 Ga 0.961 0.266 0.031
O1 O 0.009 0.737 0.306
O2 O 0.491 0.237 0.694
O3 O 0.509 0.263 0.194
O4 O 0.991 0.763 0.806
O5 O 0.991 0.263 0.694
O6 O 0.509 0.763 0.306
O7 O 0.491 0.737 0.806
O8 O 0.009 0.237 0.194
O9 O 0.892 0.619 0.559
O10 O 0.608 0.119 0.441
O11 O 0.392 0.381 0.941
O12 O 0.108 0.881 0.059
O13 O 0.108 0.381 0.441
O14 O 0.392 0.881 0.559
O15 O 0.608 0.619 0.059
O16 O 0.892 0.119 0.941
O17 O 0.744 0.513 0.324
O18 O 0.756 0.013 0.676
O19 O 0.244 0.487 0.176
O20 O 0.256 0.987 0.824
O21 O 0.256 0.487 0.676
O22 O 0.244 0.987 0.324
O23 O 0.756 0.513 0.824
O24 O 0.744 0.013 0.176
O25 O 0.589 0.638 0.563
O26 O 0.911 0.138 0.437
O27 O 0.089 0.362 0.937
O28 O 0.411 0.862 0.063
O29 O 0.411 0.362 0.437
O30 O 0.089 0.862 0.563
O31 O 0.911 0.638 0.063
O32 O 0.589 0.138 0.937
O33 O 0.699 0.369 0.565
O34 O 0.801 0.869 0.435
O35 O 0.199 0.631 0.935
O36 O 0.301 0.131 0.065
O37 O 0.301 0.631 0.435
O38 O 0.199 0.131 0.565
O39 O 0.801 0.369 0.065
O40 O 0.699 0.869 0.935
# - DFT formation energy: -2.75 eV per atom
# - Theoretical density: 4927 kg/m³
# - Total moment: 0.00 μB per formula unit
# - Crystal system: orthorhombic


a.
{
  "formula": "TlF",
  "functional": "PBE",
  "state": "relaxed",
  "lattice": [[6.386, 0.000, 0.000], [0.000, 5.817, 0.000], [0.000, 0.000, 5.237]],
  "species": ["Tl", "Tl", "Tl", "Tl", "F", "F", "F", "F"],
  "fractional_positions": [[0.242, 0.002, 0.250], [0.242, 0.498, 0.750], [0.758, 0.502, 0.250], [0.758, 0.998, 0.750], [0.143, 0.576, 0.250], [0.143, 0.924, 0.750], [0.857, 0.076, 0.250], [0.857, 0.424, 0.750]],
  "crystal_system": "orthorhombic"
}


b.
{
  "formula": "TlF",
  "functional": "PBE",
  "state": "relaxed",
  "lattice": [[3.843, 0.000, 0.000], [0.000, 3.843, 0.000], [0.000, 0.000, 6.317]],
  "species": ["Tl", "Tl", "F", "F"],
  "fractional_positions": [[0.250, 0.250, 0.247], [0.750, 0.750, 0.753], [0.250, 0.250, 0.853], [0.750, 0.750, 0.147]],
  "crystal_system": "tetragonal"
}


c.
{
  "formula": "TlF",
  "functional": "PBE",
  "state": "relaxed",
  "lattice": [[0.000, 2.841, 2.841], [2.841, 0.000, 2.841], [2.841, 2.841, 0.000]],
  "species": ["Tl", "F"],
  "fractional_positions": [[0.000, 0.000, 0.000], [0.500, 0.500, 0.500]],
  "crystal_system": "cubic"
}


Most stable: a


a.
{
  "formula": "Fe",
  "functional": "PBE",
  "state": "relaxed",
  "lattice": [[0.000, 1.823, 1.823], [1.823, 0.000, 1.823], [1.823, 1.823, 0.000]],
  "species": ["Fe"],
  "fractional_positions": [[0.000, 0.000, 0.000]],
  "crystal_system": "cubic"
}


b.
{
  "formula": "Fe",
  "functional": "PBE",
  "state": "relaxed",
  "lattice": [[10.406, 0.000, 0.000], [-0.217, 10.454, 0.000], [-0.091, -0.379, 10.702]],